Thursday, August 14, 2014

Data records that have nothing to do with the page:
~~~
(1)
VASP calculation (meta-GGA r2SCAN) on a geometry-optimized TmAlAu structure.

Computed properties:
E = -31.71 eV per atom
Mass density = 10.882 g/cm3

POSCAR file:
```
TmAlAu
1.0
-2.740 3.447 -0.319
-1.634 -0.669 6.817
5.777 4.763 1.852
Tm Al Au
4 4 4
direct
0.250 0.008 0.301
0.750 0.992 0.699
0.250 0.508 0.199
0.750 0.492 0.801
0.250 0.176 0.922
0.750 0.324 0.422
0.750 0.824 0.078
0.250 0.676 0.578
0.750 0.216 0.094
0.250 0.284 0.594
0.750 0.716 0.406
0.250 0.784 0.906
```

(2)
VASP calculation (meta-GGA r2SCAN) on a geometry-optimized DyIn2Ni structure.

Computed properties:
E = -22.81 eV per atom
Mass density = 9.138 g/cm3

POSCAR file:
```
DyIn2Ni
1.0
2.165 -5.193 0.000
2.165 5.193 0.000
0.000 0.000 7.286
In Dy Ni
4 2 2
direct
0.144 0.856 0.550
0.856 0.144 0.450
0.144 0.856 0.950
0.856 0.144 0.050
0.569 0.431 0.250
0.431 0.569 0.750
0.288 0.712 0.250
0.712 0.288 0.750
```

(3)
VASP calculation (meta-GGA r2SCAN) on a geometry-optimized BeP2 structure.

Computed properties:
E = -7.84 eV per atom
Mass density = 2.493 g/cm3

POSCAR file:
```
BeP2
1.0
-5.560 -3.740 2.333
3.811 -2.193 5.569
-1.908 7.427 1.972
Be P
8 16
direct
0.294 0.540 0.175
0.172 0.169 0.676
0.294 0.047 0.176
0.460 0.706 0.825
0.831 0.335 0.325
0.665 0.169 0.675
0.953 0.706 0.824
0.831 0.828 0.324
0.497 0.996 0.003
0.460 0.208 0.835
0.793 0.045 0.170
0.333 0.335 0.335
0.170 0.668 0.670
0.121 0.372 0.503
0.496 0.504 0.000
0.629 0.371 0.500
0.004 0.996 0.000
0.332 0.830 0.330
0.628 0.879 0.497
0.004 0.503 0.997
0.121 0.879 0.500
0.955 0.207 0.830
0.792 0.540 0.165
0.665 0.667 0.665
```

Q: Which value of E does entry 3 give?
A: -7.84 eV per atom

Repeat the second record exactly.
VASP calculation (meta-GGA r2SCAN) on a geometry-optimized DyIn2Ni structure.

Computed properties:
E = -22.81 eV per atom
Mass density = 9.138 g/cm3

POSCAR file:
```
DyIn2Ni
1.0
2.165 -5.193 0.000
2.165 5.193 0.000
0.000 0.000 7.286
In Dy Ni
4 2 2
direct
0.144 0.856 0.550
0.856 0.144 0.450
0.144 0.856 0.950
0.856 0.144 0.050
0.569 0.431 0.250
0.431 0.569 0.750
0.288 0.712 0.250
0.712 0.288 0.750
```

* * * * *

# PBE RbZn2P2HO8, optimized geometry
# Total energy = -6.076 eV per atom
# Theoretical density = 3.12 g/cm³
# Energy of formation from the pure elements = -2376 meV per atom
data_RbZn2P2HO8
_symmetry_space_group_name_H-M 'P 1'
_symmetry_Int_Tables_number 1
_cell_length_a 5.3287
_cell_length_b 8.9817
_cell_length_c 9.8879
_cell_angle_alpha 75.28
_cell_angle_beta 77.57
_cell_angle_gamma 73.56
loop_
_symmetry_equiv_pos_as_xyz
'x,y,z'
loop_
_atom_site_label
_atom_site_type_symbol
_atom_site_fract_x
_atom_site_fract_y
_atom_site_fract_z
_atom_site_occupancy
O1 O 0.0478 0.7750 0.5239 1
O2 O 0.5740 0.4025 0.3499 1
O3 O 0.4051 0.7015 0.1146 1
~~~
RAC Monitor - A survival checklist of their top 10 Audit findings
What comes next are crystal structures, not part of the entry:
+++
Record 1
The following is a DFT calculation (PBE-GGA) of a geometry-optimized CuH11C6NO5 structure.

Cell and atoms, written as CIF:
```
data_CuH11C6NO5
_chemical_formula_sum 'Cu8 H88 C48 N8 O40'
_symmetry_space_group_name_H-M 'C 1 2/c 1'
_symmetry_Int_Tables_number 15
_symmetry_space_group_name_Hall '-C 2yc'
_cell_length_a 16.219
_cell_length_b 10.059
_cell_length_c 15.298
_cell_angle_alpha 90.00
_cell_angle_beta 120.29
_cell_angle_gamma 90.00
loop_
_atom_site_label
_atom_site_type_symbol
_atom_site_fract_x
_atom_site_fract_y
_atom_site_fract_z
Cu1 Cu 0.079 0.160 0.247
H1 H 0.049 0.194 0.961
H2 H 0.078 0.246 0.726
H3 H 0.079 0.439 0.516
H4 H 0.100 0.418 0.713
H5 H 0.103 0.460 0.936
H6 H 0.130 0.075 0.044
H7 H 0.141 0.113 0.659
H8 H 0.163 0.176 0.972
H9 H 0.164 0.339 0.833
H10 H 0.191 0.426 0.519
H11 H 0.247 0.144 0.659
C1 C 0.064 0.020 0.887
C2 C 0.072 0.338 0.388
C3 C 0.104 0.123 0.970
C4 C 0.114 0.441 0.471
C5 C 0.133 0.323 0.751
C6 C 0.211 0.286 0.729
N1 N 0.195 0.176 0.673
O1 O 0.009 0.290 0.134
O2 O 0.025 0.010 0.150
O3 O 0.121 0.030 0.362
O4 O 0.121 0.308 0.346
O5 O 0.217 0.142 0.239
```

Values from the calculation:
calculated formation energy: -0.672 eV/atom
raw total energy: -5.9395 eV/atom

***

Record 2
The following is a DFT calculation (PBE-GGA) of a geometry-optimized CuH14C4N4O8 structure.

Cell and atoms, written as CIF:
```
data_CuH14C4N4O8
_chemical_formula_sum 'Cu2 H28 C8 N8 O16'
_symmetry_space_group_name_H-M 'P 1 21/c 1'
_symmetry_Int_Tables_number 14
_symmetry_space_group_name_Hall '-P 2ybc'
_cell_length_a 9.159
_cell_length_b 8.329
_cell_length_c 8.035
_cell_angle_alpha 90.00
_cell_angle_beta 99.12
_cell_angle_gamma 90.00
loop_
_atom_site_label
_atom_site_type_symbol
_atom_site_fract_x
_atom_site_fract_y
_atom_site_fract_z
Cu1 Cu 0.000 0.000 0.000
H1 H 0.067 0.201 0.327
H2 H 0.208 0.506 0.940
H3 H 0.283 0.168 0.545
H4 H 0.286 0.744 0.533
H5 H 0.335 0.077 0.926
H6 H 0.367 0.067 0.119
H7 H 0.438 0.720 0.692
C1 C 0.013 0.733 0.765
C2 C 0.369 0.545 0.145
N1 N 0.270 0.045 0.543
N2 N 0.367 0.705 0.118
O1 O 0.055 0.594 0.727
O2 O 0.062 0.703 0.406
O3 O 0.288 0.100 0.027
O4 O 0.459 0.019 0.764
```

Values from the calculation:
calculated formation energy: -0.883 eV/atom
raw total energy: -5.9135 eV/atom

***

The highest calculated formation energy belongs to which entry? CuH11C6NO5

***

What is the raw total energy in the first record? -5.9395 eV/atom

~~~~~

Computed, not measured: an optimized crystal structure of CaAgF5 at the PBE level of DFT.

Unit cell a=5.751 b=5.817 c=8.121 alpha=110.45 beta=96.32 gamma=108.87
Fractional coordinates of all 14 atoms:
Ca  0.000  0.000  0.000
Ca  0.084  0.579  0.496
Ag  0.542  0.788  0.247
Ag  0.543  0.290  0.748
F  0.221  0.014  0.773
F  0.236  0.439  0.219
F  0.281  0.883  0.121
F  0.330  0.425  0.626
F  0.442  0.930  0.490
F  0.642  0.647  0.006
F  0.760  0.160  0.869
F  0.802  0.695  0.373
F  0.846  0.142  0.277
F  0.867  0.570  0.725

Computed properties:
symmetry: P1
+++
The crystal structures stop here:

### Materials data that have nothing to do with the page
'''
PBE ZnCuP4O12, optimized geometry; ΔH_f (0 K) = -2.34 eV per atom; magnetization = 2.0 μB per cell
1.0
5.968 -4.180 0.000
5.968 4.180 0.000
-4.766 0.000 8.825
Zn Cu P O
2 2 8 24
direct
0.051 0.949 0.750 Zn
0.949 0.051 0.250 Zn
0.000 0.500 0.500 Cu
0.500 0.000 0.000 Cu
0.254 0.730 0.022 P
0.270 0.746 0.478 P
0.297 0.314 0.802 P
0.314 0.297 0.302 P
0.686 0.703 0.698 P
0.703 0.686 0.198 P
0.730 0.254 0.522 P
0.746 0.270 0.978 P
0.091 0.851 0.095 O
0.123 0.289 0.325 O
0.149 0.909 0.405 O
0.189 0.710 0.584 O
0.192 0.336 0.647 O
0.209 0.505 0.928 O
0.289 0.123 0.825 O
0.290 0.811 0.916 O
0.317 0.534 0.345 O
0.336 0.192 0.147 O
0.466 0.683 0.155 O
0.495 0.791 0.572 O
0.505 0.209 0.428 O
0.534 0.317 0.845 O
0.664 0.808 0.853 O
0.683 0.466 0.655 O
0.710 0.189 0.084 O
0.711 0.877 0.175 O
0.791 0.495 0.072 O
0.808 0.664 0.353 O
0.811 0.290 0.416 O
0.851 0.091 0.595 O
0.877 0.711 0.675 O
0.909 0.149 0.905 O
'''
RAC Monitor Article - GOOD STUFF This is GREAT info that I found... Very very helpful. Top 10 Federal Audit Findings in E/M Services: A Survival Guide Physicians, practice managers and compliance personnel have their work cut out for them: they must continually conduct and monitor internal coding audits and medical record (MR) documentation reviews for evaluation and management (E/M) services, a predominant but mundane service performed literally millions of times across all physician specialty practices. Why? In the face of Medicare's 2010 deletion of consultation reimbursement from its physician fee schedule, these fairly omnipresent service codes have become a ripe target for federal auditing initiatives. For Medicare beneficiaries the former consultations must now be reported using CPT codes for office/outpatient visits (99201 - 99215) as well as hospital inpatient services (99221 - 99233). This change drastically increases the traditional E/M services' value, enhances the codes' impact on provider revenue and, in a paradoxical twist, it makes these services more of a federal and state target following the Centers for Medicare & Medicaid Services (CMS) move to plump up reimbursements for these services (to account for the loss of consultation fees). Since billions of dollars are paid out to providers each year for E/M services, in particular 99213 and 99214 (the two most frequently reported E/M services), federal and state auditors are watching closer than ever to ensure fewer incidences of improper payments. Other robust federal audit programs assail providers through a variety of initiatives. The major audit schema includes, among others, efforts by CMS via jurisdictional Medicare Administrative Carriers (MACs), the Comprehensive Error Rate Testing (CERT) program, the Annual Work Plan by the Office of the Inspector General (OIG) and the aggressive audit program of the Recovery Audit Contractors (RACs). The following is a "Top 10" accounting of recent federal audit findings within the typical E/M service code ranges for office and inpatient hospital services. For each Top 10 audit result, "survival tips" are also provided: 1. Illegible, unauthenticated and/or indeterminate authorship of Medical Records (MRs): Illegible physician and NPP signatures, unauthenticated MR notes (i.e., unsigned either by hand or by e-signature), and/or the federal reviewer's inability to differentiate ancillary staff notes from treating provider's notes accounts for the preponderance of audit findings. Survival Tips: Legible signatures are required to certify services; illegible signatures submitted without evidence of proof-of-signature are adjudged by Reviewers as "indeterminate" and equated to unsigned MR documentation. Likewise, mixing ancillary staff/scribe notes in the body of the clinical note without signature clarification is tantamount to unauthenticated records. These various documentation errors are denied because "services were unable to be verified as being rendered by the billing provider." Ensure the providers and ancillary staff sign/date all clinical note contributions so authorship of MR documentation is clear. Excluding certain hospice documentation, facsimile stamped signatures are no longer valid for federal purposes. 2. Non-response to ADRs: Ignoring or not responding in a timely manner to official MR documentation requests, termed Additional Documentation Requests (ADRs) when issued by MACs/Part B Carriers, is another prevalent audit finding. ADRs are simple MR documentation inquiries to assess and verify services billed. The request encompasses all documentation germane to the date-of-service (DOS) under investigation; all relevant documentation must be copied and sent to the requesting entity. Survival Tips: Compliance staff should ensure the logging of each ADR, the processing of which must be tracked and monitored, and final fulfillment confirmed by certified mail. For larger group practices or multi-location practices, setting up an internal "ADR Response Team" is often an effective way to handle these third party requests for MR documentation. Follow up and/or remedial steps must be performed once feedback from the requesting entity is received, e.g., analysis of audit results, fiscal impact of repayment demands, provider education in documentation, additional coder training, etc. 3. Review of Systems (ROS) is missing or poorly documented: Recording the patient's history is, by audit, the weakest area of provider documentation for office and hospital visits. Easily the most overlooked element of the history portion of the note is the ROS which, when missing or poorly documented, severely limits the level of the E/M service that can be legitimately reported. This is paradoxical as the ROS can be expertly obtained by ancillary staff. Examples of poorly documented ROS include those with blanket statements like "all systems unremarkable" which many MACs/Part B Carriers do not recognize as legitimate. Survival Tips: There are few reasons why the ROS cannot be thoroughly obtained, unless it is not medically necessary. If the ROS is obtained on a separate form or questionnaire, the form should be signed/dated by the provider to certify the ROS document is germane to the current visit. All such segregated data should be bridged to the date-of-service in question, and 4. E/M code 99211 reported without sufficient documentation: CPT code 99211 is designed for minimal problems requiring quick visits carried out by ancillary staff and supervised by the reporting provider. Adequately substantiated in the MR documentation 99211 can be reported for myriad services. Errors in reporting 99211 range from inadequate or no MR documentation to the automatic billing of 99211 with other minor staff services, e.g., Bp checks, PPD readings, specimen collection, etc., without cognitive services being performed. Survival Tips: CPT code 99211 represents a true E/M service; as such, the MR documentation must convey features of both evaluation and management services, i.e., (a) essential clinical information is provided or exchanged based on the patient's condition or problem and (b) therapy, management or a treatment plan is rendered/provided. Both actions must be documented. Since this E/M service is typically furnished by ancillary staff under the provider's direct supervision, it is reported as "incident to." All criteria for incident-to services must be satisfied. 5. Time used as key component for E/M services but is inadequately documented: Providers can report non-time based E/M services using ‘time' as the key factor instead of the 3-key components of history, physical exam (PE) and medical decision making (MDM) when counseling and/or coordination of care (CoC) constitute 50% or greater of the total face-to-face time. Federal auditors find numerous instances of missing or poorly documented time(s) when the provider clearly intended to use time as the singular key component for the E/M service reported. Survival Tips: Document two strata of ‘time' when relying on time as the leveraging factor: (1) total face-to-face time for the entire encounter and (2) total time spent in counseling and/or CoC. The second stratum demonstrates the >50% rule; the first stratum creates the frame of reference for stratum #2. For office services non face-to-face time (i.e., time expended in pre-/post-visit work) cannot be included in the total time calculated; inpatient services, however, can include non face-to-face unit/floor time spent in the care of the patient. Content of counseling/CoC must be fully documented. 6. Misapplication of modifier -25: Modifier -25 is reported with an E/M code when significant, separately identifiable E/M services are rendered by the same physician on the same day of a procedure or other service. Federal auditors have found three frequently occurring errors after reviewing the MR documentation: (1) modifier -25 was incorrectly reported on a non-E/M service, e.g., 93000-25 for EKG; (2) modifier -25 was reported with an E/M code when the patient presented solely for a minor procedure, e.g., joint injection, however, the E/M service was not documented or was not medically necessary; and, (3) modifier -25 was not reported but was needed when an E/M service and a minor procedure (with a global surgery indicator of "000") were provided. Survival Tips: Modifier -25 is designed to allow certain E/M services to bypass system edits. It should only be appended to an E/M service to make clear that particular service is "significant, separately identifiable" and therefore separately payable. MR documentation must substantiate these separately payable circumstances. The triple-zero global surgery indicator ("000") signifies that only the day of the procedure is included in the global surgery period. If the E/M service is not reported with modifier -25 in these circumstances the service is denied. 7. The "4x4 Rule" and the conundrum of expanded problem focused (EPF) vs. detailed physical exams:Confusion surrounds these two specific exam levels because the 1995 and 1997 E/M Documentation Guidelines (DGs) are ambiguous for both EPF and detailed exams by stating both must contain "2-7 elements," specifying the EPF level requires a "limited" exam and detailed requires an "extended" exam. Both must address "the affected areas/systems and any other symptomatic or related areas/systems, up to 7." The similar definitions for "limited" and "extended" have caused provider misinterpretation and allowed for a predominant auditor finding of "insufficient PE documentation for a detailed level exam" such as for E/M codes 99203, 99214, 99221 and 99233. Survival Tips:Know the "4x4 rule;" it comprises four elements or items examined within four body areas or organ systems. For providers, the "4x4 rule" is a quick and uncomplicated method to avoid misinterpretation of these similar MR documentation levels. Compliance personnel should check with the Part B Carrier to ascertain applicability. Of note, federal auditors are tasked with referencing both sets of E/M DGs - 1995 and 1997 - adjudging each case being reviewed so the final assessment best benefits the provider. 8. Rules for reporting CPT code 99499 Unlisted E/M Service: CMS addresses billing of CPT code 99499 (MCPM 100-04, Chapter 12, §30), stating "the Carrier has the discretion to value the service." In effect, the Part B Carrier is in control and many maintain that 99499 should be reported only in rare instances. "Rare" is the operative term and used repeatedly in official literature. Adjudicators must review associated documentation and apply individual consideration (IC) protocols for appropriate pricing of each service reported under 99499. Survival Tips:Report 99499 in rare circumstances and only per Carrier instructions. A "rare" example provided by a local MAC follows: "If documentation criteria for initial inpatient hospital services 99221-99223 cannot be met and if ... even a 99221 cannot be met, but the documentation does meet the criteria for subsequent inpatient hospital services 99231-99233, then code appropriately even though it is chronologically an admission. If the documentation does not even meet the criteria for a 99231, then code 99499." 9. Modifier -24 and the global surgical period: When reporting E/M services after a major procedure but during a global surgical period (within 90 days) of a major procedure or after a minor procedure but also during the procedure's global surgical period (up to 10 days), the appropriate documentation must support the service and the E/M code must be appended with modifier -24 to circumvent system edits. Documentation must detail why an E/M service should be paid within the global surgical period. According to the MCPM 100-04, Chapter 12, §40.2.A.7, "services submitted with modifier -24 must be sufficiently documented to establish that the visit was unrelated to the surgery. An ICD-9-CM code that clearly indicates the reason for the encounter was unrelated to the surgery is acceptable documentation." Survival Tips: This is one of the few E/M services included in the 2010-2012 OIG Annual Work Plans. Implement steps to prevent inadvertent reporting of post-op E/M services as separately payable when the patient is in a post-surgical status, and bill these services correctly when appropriate. 10. Missing or poorly documented key components of the E/M service: This "Top 10" mention is the last-listed but in aggregate it is the most prevalent of all audit findings. For most E/M services 3-key components govern code selection: (1) History, (2) PE and (3) MDM. For new office visits and initial hospital inpatient services these key components must be included in the documentation. When only 2-key components are required to be documented, i.e., for subsequent office or hospital visits, at least two of the three components must meet the service's lowest threshold requirements. "Survival Tips" are interspersed with federal audit findings as follows: (a) History: Missing or lack of recorded critical elements including chief complaint (CC), past medical, family/social history (PFSH), and history of present illness (HPI). [ROS problems were previously addressed] Contradictory data between elements is a common error, e.g., the CC states one reason for the visit but the HPI details a different problem. Some Carriers require the CC and HPI to be documented only by the treating provider. Terms like "noncontributory" under the PFSH or ROS may be invalid; internal compliance staff must know Part B Carrier jurisdictional preferences. (b) PE: Missing or insufficient documented information. A common provider PE statement is "no change from prior visit." When 3-key components are required for the E/M service, this brief statement is inadequate and will be discounted by federal Reviewers. "Negative" and "WNL" notations are acceptable forms of documentation for unaffected areas/organ systems but are unacceptable under E/M leveling criteria for affected areas/organ systems that relate to the CC and/or HPI within the History. (c) MDM: Truncated or disorganized data. MDM information conveys the complexity and risk of the service, and must be fully documented. Additionally, disorganized MDM data can cause mistakes in copying and assembling audit packages for Reviewers. This is easily remedied when the provider creates a data bridge between the body of the visit text and other related supporting documents so that all elements of each date-of-service is connected. The data bridge is especially critical when the provider has reviewed old MRs, ordered tests/studies, carried forward or revised diagnoses and medications, etc. This also relates to History elements, e.g., the ROS, when recorded and maintained on separate forms. Educate staff tasked with processing MR and ADR requests on the proper assembling of complete audit packages for federal Reviewers. Meticulous MR documentation has always been one of the keystones of quality patient care. It is certainly the much-touted foundation for a successful transition from ICD-9-CM to ICD-10-CM/PCS code system implementation (still at this writing, by Oct. 1, 2013). It also has the capacity to protect providers in myriad scenarios including federal audits. The disparate audit findings included in this article are not all-inclusive but are among the predominant audit findings that have surfaced during federal review processes. Adhering to the survival tips can help physician practices avoid federal recompense demands by preventing E/M services from being downcoded or denied. About the Author Michael Calahan, PA, MBA, CCS, CCS-P, CPC, CPC-H, AHIMA Certified ICD-10-CM/PCS Trainer, is the Director of Physician Services at KForce Healthcare, Inc., working in compliance, coding and revenue cycle management in the physician and facility arenas. Contact the Author or To comment on this article please go to Sources: 1. Medicare Claims Processing Manual/Internet-Only Manuals 100-04, Chapter 12 Physicians/Nonphysician Practitioners, Sections 30 and 40 (various citations as disclosed): Consultations, CPT Code 99499, Modifiers -24 and -25 et al 2. Medicare Program Integrity Manual/Internet-Only Manuals 100-08, Chapter 3 Verifying Potential Errors and Taking Corrective Actions, Section Facsimile Signature Requirements 3. CMS Transmittal 327/Change Request 6698 June 16, 2010 (Revised), Signature Guidelines for Medical Review Purposes 4. Evaluation and Management Documentation Guidelines, 1995 and 1997, as published by two oversight entities: CMS and AMA 5. CERT errors (2009 - 2012) specific to E/M services; E/M audit FAQs; compounded information best viewed at three Medicare Carrier web sites: (a) Wisconsin Physician Services (WPS) Medicare, (b) Trailblazers Medicare, and (c) Cahaba Medicare (MAC A/B J10) 6. CMS Transmittal 1875/Change Request 6740, December 14, 2009, Revisions to Consultation Services Payment Policy 7. Trailblazer Health Interprises, LLC, Evaluation and Management Services (training manual), September 2011 8. Highmark Medicare Services, E/M FAQs "13. What is the 4x4method for determining if an examination is scored as an expanded problem focused or detailed?" Posted 10-5-2009; revised 8-29-2011 9. U.S. Department of Health & Human Services, Office of the Inspector General (OIG), Office of Evaluation & Inspections Reports, Review of Incident To Services, Report 09-06-00430, August 2009 U.S. Department of Health & Human Services, OIG Reports, 2012 Annual Work Plan, accessed October 2011